Assignment:
The reader should search the rows underneath for the word "GGA-PBE" and set down each line that has it.

Material:
/*
# AcPm5Ga6 GGA-PBE optimized geometry
# DOS(E_F) in states/eV/cell: 11.952
# Energy relative to the elements in meV/atom: -534
# Raw total energy in eV/atom: -4.37
data_AcPm5Ga6
_chemical_formula_sum 'Ac2 Pm10 Ga12'
_space_group_name_H-M_alt 'I m m m'
_space_group_IT_number 71
_space_group_name_Hall '-I 2 2'
_cell_length_a 5.263
_cell_length_b 7.373
_cell_length_c 15.818
_cell_angle_alpha 90.00
_cell_angle_beta 90.00
_cell_angle_gamma 90.00
loop_
_atom_site_label
_atom_site_type_symbol
_atom_site_fract_x
_atom_site_fract_y
_atom_site_fract_z
Ac1 Ac 0.000 0.000 0.000
Pm1 Pm 0.000 0.000 0.329
Pm2 Pm 0.000 0.500 0.000
Pm3 Pm 0.000 0.500 0.340
Ga1 Ga 0.000 0.228 0.500
*/

Completed:
# AcPm5Ga6 GGA-PBE optimized geometry